-- Work order --
The reader should count the lines further down that contain the word "Nd" and give the number alone.
-- Contents --
<<<
Theoretical XRD peak list
Compound: VCoGe
Radiation: Cu Kα
Structure: a GGA-PBE-relaxed structure
Peak positions follow from Bragg's law for the DFT cell and can differ from measured ones.

Main lines, by intensity (2θ = 10–80°):
(hkl)	Position (°2θ)	I_rel
2 1 1	40.75	100
1 1 2	38.58	83
0 1 3	46.18	49
0 2 0	49.81	47
1 1 3	48.70	42
3 0 2	52.32	37
3 0 1	46.81	30
2 0 0	29.49	25
3 2 2	75.13	24
3 1 1	53.43	20

```
data_VCoGe
_chemical_formula_sum 'V4 Co4 Ge4'
_cell_length_a 6.0606
_cell_length_b 3.6612
_cell_length_c 6.9901
_cell_angle_alpha 90.00
_cell_angle_beta 90.00
_cell_angle_gamma 90.00
_symmetry_space_group_name_H-M 'P n m a'
_symmetry_Int_Tables_number 62
loop_
_symmetry_equiv_pos_as_xyz
'x,y,z'
'-x,-y,-z'
'-x+1/2,-y,z+1/2'
'x+1/2,y,-z+1/2'
'x+1/2,-y+1/2,-z+1/2'
'-x+1/2,y+1/2,z+1/2'
'-x,y+1/2,-z'
'x,-y+1/2,z'
loop_
_atom_site_label
_atom_site_type_symbol
_atom_site_fract_x
_atom_site_fract_y
_atom_site_fract_z
V1 V 0.0278 0.2500 0.1794
Co1 Co 0.1416 0.2500 0.5579
Ge1 Ge 0.2382 0.7500 0.3739
```

=====

Theoretical XRD peak list
Compound: Al3Pd2
Radiation: Cu Kα
Structure: a GGA-PBE-relaxed structure
Peak positions follow from Bragg's law for the DFT cell and can differ from measured ones.

Main lines, by intensity (2θ = 10–80°):
(hkl)	Position (°2θ)	I_rel
1 0 2	42.48	100
1 1 0	42.63	83
0 1 1	29.74	74
1 0 0	24.23	50
0 0 1	16.98	42
2 1 2	77.94	32
0 2 2	61.76	32
1 1 1	46.20	19
2 0 1	52.84	15
3 0 0	78.04	13

```
data_Al3Pd2
_chemical_formula_sum 'Al3 Pd2'
_cell_length_a 4.2415
_cell_length_b 4.2415
_cell_length_c 5.2212
_cell_angle_alpha 90.00
_cell_angle_beta 90.00
_cell_angle_gamma 120.00
_symmetry_space_group_name_H-M 'P -3 m 1'
_symmetry_Int_Tables_number 164
_symmetry_space_group_name_Hall '-P 3 2"'
loop_
_atom_site_label
_atom_site_type_symbol
_atom_site_fract_x
_atom_site_fract_y
_atom_site_fract_z
Al1 Al 0.0000 0.0000 0.0000
Al2 Al 0.3333 0.6667 0.3550
Pd1 Pd 0.3333 0.6667 0.8420
```

=====

Theoretical XRD peak list
Compound: NdP2Pt2
Radiation: Cu Kα
Structure: a GGA-PBE-relaxed structure
Peak positions follow from Bragg's law for the DFT cell and can differ from measured ones.

Main lines, by intensity (2θ = 10–80°):
(hkl)	Position (°2θ)	I_rel
1 1 4	34.86	100
1 1 2	30.83	94
2 0 0	42.02	87
1 0 5	31.11	83
1 0 7	38.75	38
2 1 5	53.20	38
2 2 0	60.94	29
1 1 8	48.10	29
1 1 12	65.58	25
3 1 4	72.16	24

```
data_NdP2Pt2
_chemical_formula_sum 'Nd4 P8 Pt8'
_cell_length_a 4.3003
_cell_length_b 4.3003
_cell_length_c 19.3303
_cell_angle_alpha 90.00
_cell_angle_beta 90.00
_cell_angle_gamma 90.00
_symmetry_space_group_name_H-M 'I 4/m m m'
_symmetry_Int_Tables_number 139
_symmetry_space_group_name_Hall '-I 4 2'
loop_
_atom_site_label
_atom_site_type_symbol
_atom_site_fract_x
_atom_site_fract_y
_atom_site_fract_z
Nd1 Nd 0.0000 0.0000 0.1251
P1 P 0.0000 0.0000 0.4305
P2 P 0.0000 0.5000 0.2500
Pt1 Pt 0.0000 0.0000 0.3069
Pt2 Pt 0.0000 0.5000 0.0000
```

=====

Theoretical XRD peak list
Compound: Rb3SbO3
Radiation: Cu Kα
Structure: a GGA-PBE-relaxed structure
Peak positions follow from Bragg's law for the DFT cell and can differ from measured ones.

Main lines, by intensity (2θ = 10–80°):
(hkl)	Position (°2θ)	I_rel
2 1 -2	27.24	100
2 0 2	26.13	69
0 1 4	34.59	69
1 2 1	28.93	66
4 1 0	41.37	30
3 1 -1	32.30	27
1 1 -3	28.15	22
2 2 2	37.01	22
1 3 -3	46.90	21
0 2 0	25.74	20

```
data_Rb3SbO3
_chemical_formula_sum 'Rb12 Sb4 O12'
_cell_length_a 9.2348
_cell_length_b 6.9213
_cell_length_c 11.2310
_cell_angle_alpha 90.00
_cell_angle_beta 94.99
_cell_angle_gamma 90.00
_symmetry_space_group_name_H-M 'P 1 21/c 1'
_symmetry_Int_Tables_number 14
loop_
_symmetry_equiv_pos_as_xyz
'x,y,z'
'-x,-y,-z'
'-x,y+1/2,-z+1/2'
'x,-y+1/2,z+1/2'
loop_
_atom_site_label
_atom_site_type_symbol
_atom_site_fract_x
_atom_site_fract_y
_atom_site_fract_z
Rb1 Rb 0.0782 0.1426 0.1859
Rb2 Rb 0.3412 0.1948 0.9342
Rb3 Rb 0.4181 0.7249 0.8122
Sb1 Sb 0.1862 0.6490 0.0608
O1 O 0.1821 0.5431 0.8973
O2 O 0.2886 0.0572 0.6591
O3 O 0.3422 0.6547 0.5572
```

=====
>>>
-- Done --
1